Source.
********
24
Properties=species:S:1:pos:R:3 method="wB97M-V/def2-TZVPD" spin_multiplicity=1 homo_lumo_gap_ev=9.2126 total_charge=+1 smiles=C[C@@H]1[C@H]([C@@]2(C)C[NH2+]2)N1C e_homo_ha=-0.4612
C 1.8139 1.7372 -0.0862
C 1.5572 0.2967 -0.6429
C 0.0321 -0.3478 -0.5834
C -1.1652 0.1641 0.0110
C -0.9908 1.1198 1.1758
C -2.4484 0.1692 -0.9029
N -2.3977 -0.8440 0.1075
N 1.2378 -0.7658 0.2327
C 1.8224 -2.0975 0.2027
H 1.0711 2.4184 -0.6065
H 2.8740 1.9168 -0.1649
H 1.6299 1.8865 0.9613
H 2.2359 0.0514 -1.5665
H -0.1117 -1.1192 -1.4430
H -0.9236 2.1704 0.7950
H -0.0563 0.6278 1.5426
H -1.7916 0.9889 1.8242
H -3.2255 0.9142 -0.9534
H -2.1521 -0.0172 -2.0090
H -3.0853 -0.5192 0.9144
H -2.2899 -1.9329 -0.0196
H 1.8662 -2.5038 -0.8659
H 2.8256 -2.0917 0.6644
H 1.2822 -2.9275 0.6362

***

53
Properties=species:S:1:pos:R:3 method="wB97M-V/def2-TZVPD" spin_multiplicity=1 homo_lumo_gap_ev=8.6093 smiles="Cc1ccc(NC(=S)NCCC(c2ccccc2)c2ccccc2)c(C)c1" e_homo_ha=-0.2950
C 3.8680 3.8715 1.4136
C 3.5914 2.4283 1.1230
C 2.3603 1.8575 1.4110
C 2.1263 0.5208 1.1468
C 3.1137 -0.2709 0.5691
N 2.8801 -1.6260 0.2944
C 1.7831 -2.1922 -0.2777
S 1.6751 -3.8433 -0.3245
N 0.8671 -1.3754 -0.8238
C -0.3411 -1.8309 -1.4614
C -1.5588 -1.7823 -0.5316
C -1.8010 -0.3821 0.0482
C -3.0576 -0.2655 0.8875
C -3.3413 0.9735 1.4565
C -4.4741 1.1627 2.2238
C -5.3483 0.1103 2.4397
C -5.0741 -1.1253 1.8839
C -3.9380 -1.3135 1.1129
C -1.8545 0.6499 -1.0556
C -2.9060 0.6421 -1.9647
C -2.9605 1.5725 -2.9857
C -1.9651 2.5276 -3.1116
C -0.9202 2.5508 -2.2052
C -0.8675 1.6183 -1.1832
C 4.3705 0.2825 0.2920
C 5.4537 -0.5657 -0.3014
C 4.5828 1.6207 0.5769
H 4.5451 3.9597 2.2632
H 2.9505 4.4040 1.6509
H 4.3428 4.3511 0.5595
H 1.5801 2.4563 1.8585
H 1.1825 0.0728 1.4221
H 3.6197 -2.2800 0.5086
H 1.0457 -0.3823 -0.8181
H -0.5188 -1.2092 -2.3431
H -0.1770 -2.8648 -1.7773
H -2.4238 -2.1035 -1.1125
H -1.4030 -2.4887 0.2857
H -0.9560 -0.1376 0.7036
H -2.6638 1.7992 1.2881
H -4.6761 2.1326 2.6546
H -6.2356 0.2538 3.0383
H -5.7478 -1.9537 2.0489
H -3.7494 -2.2903 0.6966
H -3.6901 -0.0940 -1.8634
H -3.7834 1.5548 -3.6852
H -2.0074 3.2540 -3.9095
H -0.1434 3.2969 -2.2905
H -0.0518 1.6574 -0.4726
H 5.8084 -1.2981 0.4252
H 6.2983 0.0479 -0.6028
H 5.0857 -1.1075 -1.1720
H 5.5496 2.0536 0.3610

***

16
Properties=species:S:1:pos:R:3 method="wB97M-V/def2-TZVPD" spin_multiplicity=1 homo_lumo_gap_ev=8.7128 e_homo_ha=-0.3024
H 1.1493 -1.8380 -1.7399
N 0.2045 -2.0201 -1.3772
C -0.0872 -1.1615 -0.4772
C -1.4035 -1.0952 0.3921
O -2.4258 -0.5269 0.0247
C 0.7533 -0.1259 0.1737
N 1.8481 -0.5488 0.8711
C 0.0268 0.9972 0.5058
C -0.7817 1.8209 -0.4586
H -1.4397 -1.9801 1.0503
H 2.4273 0.1814 1.2703
H 2.2621 -1.4235 0.5653
H 0.4520 1.6071 1.3031
H -1.7008 2.1488 0.0336
H -0.2239 2.7039 -0.7839
H -1.0608 1.2606 -1.3531

***

Repeat the third record exactly.
16
Properties=species:S:1:pos:R:3 method="wB97M-V/def2-TZVPD" spin_multiplicity=1 homo_lumo_gap_ev=8.7128 e_homo_ha=-0.3024
H 1.1493 -1.8380 -1.7399
N 0.2045 -2.0201 -1.3772
C -0.0872 -1.1615 -0.4772
C -1.4035 -1.0952 0.3921
O -2.4258 -0.5269 0.0247
C 0.7533 -0.1259 0.1737
N 1.8481 -0.5488 0.8711
C 0.0268 0.9972 0.5058
C -0.7817 1.8209 -0.4586
H -1.4397 -1.9801 1.0503
H 2.4273 0.1814 1.2703
H 2.2621 -1.4235 0.5653
H 0.4520 1.6071 1.3031
H -1.7008 2.1488 0.0336
H -0.2239 2.7039 -0.7839
H -1.0608 1.2606 -1.3531
********
To do.
Set down everything further above with every line break kept.
Worked solution.
24
Properties=species:S:1:pos:R:3 method="wB97M-V/def2-TZVPD" spin_multiplicity=1 homo_lumo_gap_ev=9.2126 total_charge=+1 smiles=C[C@@H]1[C@H]([C@@]2(C)C[NH2+]2)N1C e_homo_ha=-0.4612
C 1.8139 1.7372 -0.0862
C 1.5572 0.2967 -0.6429
C 0.0321 -0.3478 -0.5834
C -1.1652 0.1641 0.0110
C -0.9908 1.1198 1.1758
C -2.4484 0.1692 -0.9029
N -2.3977 -0.8440 0.1075
N 1.2378 -0.7658 0.2327
C 1.8224 -2.0975 0.2027
H 1.0711 2.4184 -0.6065
H 2.8740 1.9168 -0.1649
H 1.6299 1.8865 0.9613
H 2.2359 0.0514 -1.5665
H -0.1117 -1.1192 -1.4430
H -0.9236 2.1704 0.7950
H -0.0563 0.6278 1.5426
H -1.7916 0.9889 1.8242
H -3.2255 0.9142 -0.9534
H -2.1521 -0.0172 -2.0090
H -3.0853 -0.5192 0.9144
H -2.2899 -1.9329 -0.0196
H 1.8662 -2.5038 -0.8659
H 2.8256 -2.0917 0.6644
H 1.2822 -2.9275 0.6362

***

53
Properties=species:S:1:pos:R:3 method="wB97M-V/def2-TZVPD" spin_multiplicity=1 homo_lumo_gap_ev=8.6093 smiles="Cc1ccc(NC(=S)NCCC(c2ccccc2)c2ccccc2)c(C)c1" e_homo_ha=-0.2950
C 3.8680 3.8715 1.4136
C 3.5914 2.4283 1.1230
C 2.3603 1.8575 1.4110
C 2.1263 0.5208 1.1468
C 3.1137 -0.2709 0.5691
N 2.8801 -1.6260 0.2944
C 1.7831 -2.1922 -0.2777
S 1.6751 -3.8433 -0.3245
N 0.8671 -1.3754 -0.8238
C -0.3411 -1.8309 -1.4614
C -1.5588 -1.7823 -0.5316
C -1.8010 -0.3821 0.0482
C -3.0576 -0.2655 0.8875
C -3.3413 0.9735 1.4565
C -4.4741 1.1627 2.2238
C -5.3483 0.1103 2.4397
C -5.0741 -1.1253 1.8839
C -3.9380 -1.3135 1.1129
C -1.8545 0.6499 -1.0556
C -2.9060 0.6421 -1.9647
C -2.9605 1.5725 -2.9857
C -1.9651 2.5276 -3.1116
C -0.9202 2.5508 -2.2052
C -0.8675 1.6183 -1.1832
C 4.3705 0.2825 0.2920
C 5.4537 -0.5657 -0.3014
C 4.5828 1.6207 0.5769
H 4.5451 3.9597 2.2632
H 2.9505 4.4040 1.6509
H 4.3428 4.3511 0.5595
H 1.5801 2.4563 1.8585
H 1.1825 0.0728 1.4221
H 3.6197 -2.2800 0.5086
H 1.0457 -0.3823 -0.8181
H -0.5188 -1.2092 -2.3431
H -0.1770 -2.8648 -1.7773
H -2.4238 -2.1035 -1.1125
H -1.4030 -2.4887 0.2857
H -0.9560 -0.1376 0.7036
H -2.6638 1.7992 1.2881
H -4.6761 2.1326 2.6546
H -6.2356 0.2538 3.0383
H -5.7478 -1.9537 2.0489
H -3.7494 -2.2903 0.6966
H -3.6901 -0.0940 -1.8634
H -3.7834 1.5548 -3.6852
H -2.0074 3.2540 -3.9095
H -0.1434 3.2969 -2.2905
H -0.0518 1.6574 -0.4726
H 5.8084 -1.2981 0.4252
H 6.2983 0.0479 -0.6028
H 5.0857 -1.1075 -1.1720
H 5.5496 2.0536 0.3610

***

16
Properties=species:S:1:pos:R:3 method="wB97M-V/def2-TZVPD" spin_multiplicity=1 homo_lumo_gap_ev=8.7128 e_homo_ha=-0.3024
H 1.1493 -1.8380 -1.7399
N 0.2045 -2.0201 -1.3772
C -0.0872 -1.1615 -0.4772
C -1.4035 -1.0952 0.3921
O -2.4258 -0.5269 0.0247
C 0.7533 -0.1259 0.1737
N 1.8481 -0.5488 0.8711
C 0.0268 0.9972 0.5058
C -0.7817 1.8209 -0.4586
H -1.4397 -1.9801 1.0503
H 2.4273 0.1814 1.2703
H 2.2621 -1.4235 0.5653
H 0.4520 1.6071 1.3031
H -1.7008 2.1488 0.0336
H -0.2239 2.7039 -0.7839
H -1.0608 1.2606 -1.3531

***

Repeat the third record exactly.
16
Properties=species:S:1:pos:R:3 method="wB97M-V/def2-TZVPD" spin_multiplicity=1 homo_lumo_gap_ev=8.7128 e_homo_ha=-0.3024
H 1.1493 -1.8380 -1.7399
N 0.2045 -2.0201 -1.3772
C -0.0872 -1.1615 -0.4772
C -1.4035 -1.0952 0.3921
O -2.4258 -0.5269 0.0247
C 0.7533 -0.1259 0.1737
N 1.8481 -0.5488 0.8711
C 0.0268 0.9972 0.5058
C -0.7817 1.8209 -0.4586
H -1.4397 -1.9801 1.0503
H 2.4273 0.1814 1.2703
H 2.2621 -1.4235 0.5653
H 0.4520 1.6071 1.3031
H -1.7008 2.1488 0.0336
H -0.2239 2.7039 -0.7839
H -1.0608 1.2606 -1.3531